(What to do)
Copy the entries underneath from the line with "data_Co7Ni2" to the end without altering anything, please.

(Contents)
____________
No. 1
Theoretical PXRD pattern of Co7Ni2 for Cu Kα, 1.54184 Å, from a DFT-relaxed cell (GGA-PBE, Alexandria).
Kinematic intensities with the Lorentz-polarization factor, no thermal factor.

```
data_Co7Ni2
_chemical_formula_sum 'Co7 Ni2'
_cell_length_a 4.3085
_cell_length_b 4.3085
_cell_length_c 6.0890
_cell_angle_alpha 90.00
_cell_angle_beta 90.00
_cell_angle_gamma 120.00
_space_group_name_H-M_alt 'P 1'
_space_group_IT_number 1
_space_group_name_Hall 'P 1'
loop_
_atom_site_label
_atom_site_type_symbol
_atom_site_fract_x
_atom_site_fract_y
_atom_site_fract_z
Co1 Co 0.0000 0.0000 0.0000
Co2 Co 0.0000 0.3323 0.6644
Co3 Co 0.0000 0.6677 0.3356
Co4 Co 0.3323 0.0000 0.6644
Co5 Co 0.3323 0.3323 0.3356
Co6 Co 0.6677 0.0000 0.3356
Co7 Co 0.6677 0.6677 0.6644
Ni1 Ni 0.3333 0.6667 0.0000
Ni2 Ni 0.6667 0.3333 0.0000
```

Largest 3 diffraction maxima, most intense first, 2θ from 10° to 90°:
d (Å)  I (rel.)
2.031  100
1.759  46
1.243  26



No. 2
Theoretical PXRD pattern of TiCo4Rh for Cu Kα, 1.54184 Å, from a DFT-relaxed cell (GGA-PBE, Alexandria).
Kinematic intensities with the Lorentz-polarization factor, no thermal factor.

```
data_TiCo4Rh
_chemical_formula_sum 'Ti1 Co4 Rh1'
_cell_length_a 4.7125
_cell_length_b 4.7125
_cell_length_c 4.7125
_cell_angle_alpha 60.00
_cell_angle_beta 60.00
_cell_angle_gamma 60.00
_space_group_name_H-M_alt 'P 1'
_space_group_IT_number 1
_space_group_name_Hall 'P 1'
loop_
_atom_site_label
_atom_site_type_symbol
_atom_site_fract_x
_atom_site_fract_y
_atom_site_fract_z
Ti1 Ti 0.0000 0.0000 0.0000
Co1 Co 0.1258 0.6247 0.6247
Co2 Co 0.6247 0.1258 0.6247
Co3 Co 0.6247 0.6247 0.1258
Co4 Co 0.6247 0.6247 0.6247
Rh1 Rh 0.2500 0.2500 0.2500
```

Largest 12 diffraction maxima, most intense first, 2θ from 10° to 90°:
d (Å)  I (rel.)
2.009  100
2.356  34
1.924  34
1.283  28
1.178  22
1.360  11
3.848  7
3.332  6
1.490  3
1.666  2
1.529  1
1.111  1



No. 3
Theoretical PXRD pattern of Tl3GaO6 for Cu Kα, 1.54184 Å, from a DFT-relaxed cell (GGA-PBE, Alexandria).
Kinematic intensities with the Lorentz-polarization factor, no thermal factor.

```
data_Tl3GaO6
_chemical_formula_sum 'Tl6 Ga2 O12'
_cell_length_a 6.5559
_cell_length_b 6.5559
_cell_length_c 6.5559
_cell_angle_alpha 90.65
_cell_angle_beta 90.65
_cell_angle_gamma 90.65
_space_group_name_H-M_alt 'P 1'
_space_group_IT_number 1
_space_group_name_Hall 'P 1'
loop_
_atom_site_label
_atom_site_type_symbol
_atom_site_fract_x
_atom_site_fract_y
_atom_site_fract_z
Tl1 Tl 0.0541 0.5667 0.7486
Tl2 Tl 0.2514 0.9459 0.4333
Tl3 Tl 0.4333 0.2514 0.9459
Tl4 Tl 0.5667 0.7486 0.0541
Tl5 Tl 0.7486 0.0541 0.5667
Tl6 Tl 0.9459 0.4333 0.2514
Ga1 Ga 0.0000 0.0000 0.0000
Ga2 Ga 0.5000 0.5000 0.5000
O1 O 0.0410 0.9171 0.7046
O2 O 0.0829 0.2954 0.9590
O3 O 0.2058 0.5782 0.4349
O4 O 0.2954 0.9590 0.0829
O5 O 0.4218 0.5651 0.7942
O6 O 0.4349 0.2058 0.5782
O7 O 0.5651 0.7942 0.4218
O8 O 0.5782 0.4349 0.2058
O9 O 0.7046 0.0410 0.9171
O10 O 0.7942 0.4218 0.5651
O11 O 0.9171 0.7046 0.0410
O12 O 0.9590 0.0829 0.2954
```

Largest 12 diffraction maxima, most intense first, 2θ from 10° to 90°:
d (Å)  I (rel.)
2.945  100
2.681  51
2.918  47
3.742  34
1.762  24
2.066  22
1.736  19
2.080  18
1.594  14
1.828  13
3.278  13
3.799  13



No. 4
Theoretical PXRD pattern of CeZr2VN4 for Cu Kα, 1.54184 Å, from a DFT-relaxed cell (GGA-PBE, Alexandria).
Kinematic intensities with the Lorentz-polarization factor, no thermal factor.

```
data_CeZr2VN4
_chemical_formula_sum 'Ce2 Zr4 V2 N8'
_cell_length_a 5.8969
_cell_length_b 5.8969
_cell_length_c 11.1579
_cell_angle_alpha 90.00
_cell_angle_beta 90.00
_cell_angle_gamma 147.70
_space_group_name_H-M_alt 'P 1'
_space_group_IT_number 1
_space_group_name_Hall 'P 1'
loop_
_atom_site_label
_atom_site_type_symbol
_atom_site_fract_x
_atom_site_fract_y
_atom_site_fract_z
Ce1 Ce 0.0979 0.9021 0.7500
Ce2 Ce 0.9021 0.0979 0.2500
Zr1 Zr 0.3698 0.6302 0.5433
Zr2 Zr 0.3698 0.6302 0.9567
Zr3 Zr 0.6302 0.3698 0.0433
Zr4 Zr 0.6302 0.3698 0.4567
V1 V 0.1630 0.8370 0.2500
____________

(Written answer)
data_Co7Ni2
_chemical_formula_sum 'Co7 Ni2'
_cell_length_a 4.3085
_cell_length_b 4.3085
_cell_length_c 6.0890
_cell_angle_alpha 90.00
_cell_angle_beta 90.00
_cell_angle_gamma 120.00
_space_group_name_H-M_alt 'P 1'
_space_group_IT_number 1
_space_group_name_Hall 'P 1'
loop_
_atom_site_label
_atom_site_type_symbol
_atom_site_fract_x
_atom_site_fract_y
_atom_site_fract_z
Co1 Co 0.0000 0.0000 0.0000
Co2 Co 0.0000 0.3323 0.6644
Co3 Co 0.0000 0.6677 0.3356
Co4 Co 0.3323 0.0000 0.6644
Co5 Co 0.3323 0.3323 0.3356
Co6 Co 0.6677 0.0000 0.3356
Co7 Co 0.6677 0.6677 0.6644
Ni1 Ni 0.3333 0.6667 0.0000
Ni2 Ni 0.6667 0.3333 0.0000
```

Largest 3 diffraction maxima, most intense first, 2θ from 10° to 90°:
d (Å)  I (rel.)
2.031  100
1.759  46
1.243  26



No. 2
Theoretical PXRD pattern of TiCo4Rh for Cu Kα, 1.54184 Å, from a DFT-relaxed cell (GGA-PBE, Alexandria).
Kinematic intensities with the Lorentz-polarization factor, no thermal factor.

```
data_TiCo4Rh
_chemical_formula_sum 'Ti1 Co4 Rh1'
_cell_length_a 4.7125
_cell_length_b 4.7125
_cell_length_c 4.7125
_cell_angle_alpha 60.00
_cell_angle_beta 60.00
_cell_angle_gamma 60.00
_space_group_name_H-M_alt 'P 1'
_space_group_IT_number 1
_space_group_name_Hall 'P 1'
loop_
_atom_site_label
_atom_site_type_symbol
_atom_site_fract_x
_atom_site_fract_y
_atom_site_fract_z
Ti1 Ti 0.0000 0.0000 0.0000
Co1 Co 0.1258 0.6247 0.6247
Co2 Co 0.6247 0.1258 0.6247
Co3 Co 0.6247 0.6247 0.1258
Co4 Co 0.6247 0.6247 0.6247
Rh1 Rh 0.2500 0.2500 0.2500
```

Largest 12 diffraction maxima, most intense first, 2θ from 10° to 90°:
d (Å)  I (rel.)
2.009  100
2.356  34
1.924  34
1.283  28
1.178  22
1.360  11
3.848  7
3.332  6
1.490  3
1.666  2
1.529  1
1.111  1



No. 3
Theoretical PXRD pattern of Tl3GaO6 for Cu Kα, 1.54184 Å, from a DFT-relaxed cell (GGA-PBE, Alexandria).
Kinematic intensities with the Lorentz-polarization factor, no thermal factor.

```
data_Tl3GaO6
_chemical_formula_sum 'Tl6 Ga2 O12'
_cell_length_a 6.5559
_cell_length_b 6.5559
_cell_length_c 6.5559
_cell_angle_alpha 90.65
_cell_angle_beta 90.65
_cell_angle_gamma 90.65
_space_group_name_H-M_alt 'P 1'
_space_group_IT_number 1
_space_group_name_Hall 'P 1'
loop_
_atom_site_label
_atom_site_type_symbol
_atom_site_fract_x
_atom_site_fract_y
_atom_site_fract_z
Tl1 Tl 0.0541 0.5667 0.7486
Tl2 Tl 0.2514 0.9459 0.4333
Tl3 Tl 0.4333 0.2514 0.9459
Tl4 Tl 0.5667 0.7486 0.0541
Tl5 Tl 0.7486 0.0541 0.5667
Tl6 Tl 0.9459 0.4333 0.2514
Ga1 Ga 0.0000 0.0000 0.0000
Ga2 Ga 0.5000 0.5000 0.5000
O1 O 0.0410 0.9171 0.7046
O2 O 0.0829 0.2954 0.9590
O3 O 0.2058 0.5782 0.4349
O4 O 0.2954 0.9590 0.0829
O5 O 0.4218 0.5651 0.7942
O6 O 0.4349 0.2058 0.5782
O7 O 0.5651 0.7942 0.4218
O8 O 0.5782 0.4349 0.2058
O9 O 0.7046 0.0410 0.9171
O10 O 0.7942 0.4218 0.5651
O11 O 0.9171 0.7046 0.0410
O12 O 0.9590 0.0829 0.2954
```

Largest 12 diffraction maxima, most intense first, 2θ from 10° to 90°:
d (Å)  I (rel.)
2.945  100
2.681  51
2.918  47
3.742  34
1.762  24
2.066  22
1.736  19
2.080  18
1.594  14
1.828  13
3.278  13
3.799  13



No. 4
Theoretical PXRD pattern of CeZr2VN4 for Cu Kα, 1.54184 Å, from a DFT-relaxed cell (GGA-PBE, Alexandria).
Kinematic intensities with the Lorentz-polarization factor, no thermal factor.

```
data_CeZr2VN4
_chemical_formula_sum 'Ce2 Zr4 V2 N8'
_cell_length_a 5.8969
_cell_length_b 5.8969
_cell_length_c 11.1579
_cell_angle_alpha 90.00
_cell_angle_beta 90.00
_cell_angle_gamma 147.70
_space_group_name_H-M_alt 'P 1'
_space_group_IT_number 1
_space_group_name_Hall 'P 1'
loop_
_atom_site_label
_atom_site_type_symbol
_atom_site_fract_x
_atom_site_fract_y
_atom_site_fract_z
Ce1 Ce 0.0979 0.9021 0.7500
Ce2 Ce 0.9021 0.0979 0.2500
Zr1 Zr 0.3698 0.6302 0.5433
Zr2 Zr 0.3698 0.6302 0.9567
Zr3 Zr 0.6302 0.3698 0.0433
Zr4 Zr 0.6302 0.3698 0.4567
V1 V 0.1630 0.8370 0.2500